• Request:
Type out the whole of the material below without additions, please.

• Source:
# 1
SrCu2GeS4 (PBE, optimized geometry); formation enthalpy at 0 K = -1.044 eV/atom; largest piezoelectric modulus = 0.12 C/m2
1.0
6.1823 0.0000 0.0000
-3.0911 5.3540 0.0000
0.0000 0.0000 15.3042
Sr Cu Ge S
3 6 3 12
Cartesian
-1.7131 2.9672 5.1014 Sr
1.3780 2.3868 0.0000 Sr
3.4262 0.0000 10.2028 Sr
-1.5386 3.4921 1.3572 Cu
0.8361 2.2755 11.5600 Cu
1.5526 1.8619 3.7442 Cu
0.7024 4.9404 6.4586 Cu
3.7936 0.4136 13.9470 Cu
3.9273 3.0785 8.8456 Cu
-2.2035 3.8167 12.7535 Ge
0.8876 1.5374 7.6521 Ge
4.4071 0.0000 2.5507 Ge
-1.3358 2.7214 10.9919 S
-0.4087 1.8047 2.5251 S
-1.3239 4.8056 7.6265 S
1.7673 0.5484 12.7791 S
-0.0664 5.1502 0.7891 S
1.4023 2.8364 5.8905 S
3.0247 0.2038 4.3123 S
1.7553 2.6326 9.4137 S
1.7325 4.0977 12.7278 S
2.6825 3.5493 2.5763 S
4.8237 1.2563 7.6777 S
4.4934 2.5176 14.5151 S

---

# 2
SrCu2GeS4 (PBE, optimized geometry); formation enthalpy at 0 K = -0.999 eV/atom
1.0
-3.1601 3.1601 4.1380
3.1601 -3.1601 4.1380
3.1601 3.1601 -4.1380
Sr Cu Ge S
1 2 1 4
Cartesian
0.0000 0.0000 0.0000 Sr
3.1601 0.0000 2.0690 Cu
0.0000 3.1601 2.0690 Cu
0.0000 0.0000 4.1380 Ge
1.2638 -1.2638 2.7940 S
1.8963 1.8963 1.3440 S
-1.2638 1.2638 2.7940 S
1.2638 1.2638 5.4819 S

---

# 3
Cu6GeWS8 (PBE, optimized geometry); formation enthalpy at 0 K = -0.642 eV/atom
1.0
7.5703 0.0000 0.0000
-3.7852 6.5561 0.0000
0.0000 0.0000 12.4495
Cu Ge W S
12 2 2 16
Cartesian
-1.8527 3.3011 0.0000 Cu
0.0000 2.1127 9.3507 Cu
-1.9555 5.4997 9.3507 Cu
1.8296 1.0563 3.1260 Cu
1.8527 3.3011 0.0000 Cu
0.0000 6.5100 0.0000 Cu
3.7852 0.0460 6.2247 Cu
1.9325 3.2550 6.2247 Cu
1.9555 5.4997 9.3507 Cu
5.7407 1.0563 3.1260 Cu
3.7851 4.4434 3.1260 Cu
5.6378 3.2550 6.2247 Cu
0.0000 0.0000 6.1995 Ge
0.0000 0.0000 12.4243 Ge
0.0000 4.3707 7.8141 W
3.7852 2.1854 1.5894 W
0.0000 0.0000 2.2467 S
0.0000 0.0000 8.4714 S
-1.8551 3.2997 8.5587 S
0.0000 2.1606 11.6511 S
-1.9141 5.4758 11.6511 S
1.8711 1.0803 5.4263 S
0.0000 4.3707 5.5475 S
1.8551 3.2997 8.5587 S
0.0000 6.5128 8.5587 S
3.7852 0.0433 2.3340 S
1.9300 3.2564 2.3340 S
3.7852 2.1854 11.7722 S
1.9141 5.4758 11.6511 S
5.6992 1.0803 5.4263 S
3.7851 4.3955 5.4263 S
5.6403 3.2564 2.3340 S

---

# 4
ZnCu2GeS4 (PBE, optimized geometry); formation enthalpy at 0 K = -0.696 eV/atom; energy above the most stable polymorph in this dataset = 3 meV/atom
1.0
7.4699 0.0000 0.0000
0.0000 6.5382 0.0000
0.0000 0.0000 6.2088
Zn Cu Ge S
2 4 2 8
Cartesian
0.0000 1.0010 0.0000 Zn
3.7349 5.5372 3.1044 Zn
1.8501 2.1415 3.1584 Cu
1.8848 4.3968 0.0540 Cu
5.5850 4.3968 0.0540 Cu
5.6198 2.1415 3.1584 Cu
0.0000 5.4229 3.1081 Ge
3.7349 1.1153 0.0037 Ge
0.0000 1.0163 2.3600 S
0.0000 5.3589 5.3787 S
1.8331 4.3179 2.3471 S
1.9019 2.2203 5.4515 S
3.7349 1.1793 2.2743 S
3.7349 5.5219 5.4644 S
5.5680 2.2203 5.4515 S
5.6368 4.3179 2.3471 S

---

# 5
ZnCu2GeS4 (PBE, optimized geometry); formation enthalpy at 0 K = -0.699 eV/atom; largest piezoelectric modulus = 0.05 C/m2; energy above the most stable polymorph in this dataset = 0 meV/atom
1.0
-2.6669 2.6669 5.3542
2.6669 -2.6669 5.3542
2.6669 2.6669 -5.3542
Zn Cu Ge S
1 2 1 4
Cartesian
0.0000 0.0000 0.0000 Zn
2.6669 0.0000 2.6771 Cu
0.0000 2.6669 2.6771 Cu
0.0000 0.0000 5.3542 Ge
1.3735 1.3735 -1.3675 S
1.2933 -1.2933 6.7217 S
1.2933 1.2933 3.9868 S
-1.2933 1.2933 6.7217 S

---

# 6
Sc3Cu4Ge4 (PBE, optimized geometry); formation enthalpy at 0 K = -0.567 eV/atom
1.0
-2.0206 3.2683 6.6939
2.0206 -3.2683 6.6939
2.0206 3.2683 -6.6939
Sc Cu Ge
3 4 4
Cartesian
0.0000 0.0000 0.0000 Sc
2.0206 0.0000 4.9920 Sc
0.0000 3.2683 1.7019 Sc
2.0206 1.2669 -2.3014 Cu
2.0206 1.2669 2.3014 Cu
0.0000 2.0014 4.3925 Cu
0.0000 2.0014 8.9953 Cu
0.0000 0.0000 2.8909 Ge
2.0206 2.0043 0.0000 Ge
0.0000 1.2640 6.6939 Ge
0.0000 0.0000 10.4970 Ge

---

# 7
ScCuGe (PBE, optimized geometry); formation enthalpy at 0 K = 0.118 eV/atom
1.0
6.8786 0.0000 0.0000
-3.4393 5.9570 0.0000
0.0000 0.0000 4.1981
Sc Cu Ge
3 3 3
Cartesian
0.0000 0.0000 0.0000 Sc
0.0000 3.9714 2.0991 Sc
3.4393 1.9857 2.0991 Sc
-2.0388 3.5314 0.0000 Cu

• Result:
# 1
SrCu2GeS4 (PBE, optimized geometry); formation enthalpy at 0 K = -1.044 eV/atom; largest piezoelectric modulus = 0.12 C/m2
1.0
6.1823 0.0000 0.0000
-3.0911 5.3540 0.0000
0.0000 0.0000 15.3042
Sr Cu Ge S
3 6 3 12
Cartesian
-1.7131 2.9672 5.1014 Sr
1.3780 2.3868 0.0000 Sr
3.4262 0.0000 10.2028 Sr
-1.5386 3.4921 1.3572 Cu
0.8361 2.2755 11.5600 Cu
1.5526 1.8619 3.7442 Cu
0.7024 4.9404 6.4586 Cu
3.7936 0.4136 13.9470 Cu
3.9273 3.0785 8.8456 Cu
-2.2035 3.8167 12.7535 Ge
0.8876 1.5374 7.6521 Ge
4.4071 0.0000 2.5507 Ge
-1.3358 2.7214 10.9919 S
-0.4087 1.8047 2.5251 S
-1.3239 4.8056 7.6265 S
1.7673 0.5484 12.7791 S
-0.0664 5.1502 0.7891 S
1.4023 2.8364 5.8905 S
3.0247 0.2038 4.3123 S
1.7553 2.6326 9.4137 S
1.7325 4.0977 12.7278 S
2.6825 3.5493 2.5763 S
4.8237 1.2563 7.6777 S
4.4934 2.5176 14.5151 S

---

# 2
SrCu2GeS4 (PBE, optimized geometry); formation enthalpy at 0 K = -0.999 eV/atom
1.0
-3.1601 3.1601 4.1380
3.1601 -3.1601 4.1380
3.1601 3.1601 -4.1380
Sr Cu Ge S
1 2 1 4
Cartesian
0.0000 0.0000 0.0000 Sr
3.1601 0.0000 2.0690 Cu
0.0000 3.1601 2.0690 Cu
0.0000 0.0000 4.1380 Ge
1.2638 -1.2638 2.7940 S
1.8963 1.8963 1.3440 S
-1.2638 1.2638 2.7940 S
1.2638 1.2638 5.4819 S

---

# 3
Cu6GeWS8 (PBE, optimized geometry); formation enthalpy at 0 K = -0.642 eV/atom
1.0
7.5703 0.0000 0.0000
-3.7852 6.5561 0.0000
0.0000 0.0000 12.4495
Cu Ge W S
12 2 2 16
Cartesian
-1.8527 3.3011 0.0000 Cu
0.0000 2.1127 9.3507 Cu
-1.9555 5.4997 9.3507 Cu
1.8296 1.0563 3.1260 Cu
1.8527 3.3011 0.0000 Cu
0.0000 6.5100 0.0000 Cu
3.7852 0.0460 6.2247 Cu
1.9325 3.2550 6.2247 Cu
1.9555 5.4997 9.3507 Cu
5.7407 1.0563 3.1260 Cu
3.7851 4.4434 3.1260 Cu
5.6378 3.2550 6.2247 Cu
0.0000 0.0000 6.1995 Ge
0.0000 0.0000 12.4243 Ge
0.0000 4.3707 7.8141 W
3.7852 2.1854 1.5894 W
0.0000 0.0000 2.2467 S
0.0000 0.0000 8.4714 S
-1.8551 3.2997 8.5587 S
0.0000 2.1606 11.6511 S
-1.9141 5.4758 11.6511 S
1.8711 1.0803 5.4263 S
0.0000 4.3707 5.5475 S
1.8551 3.2997 8.5587 S
0.0000 6.5128 8.5587 S
3.7852 0.0433 2.3340 S
1.9300 3.2564 2.3340 S
3.7852 2.1854 11.7722 S
1.9141 5.4758 11.6511 S
5.6992 1.0803 5.4263 S
3.7851 4.3955 5.4263 S
5.6403 3.2564 2.3340 S

---

# 4
ZnCu2GeS4 (PBE, optimized geometry); formation enthalpy at 0 K = -0.696 eV/atom; energy above the most stable polymorph in this dataset = 3 meV/atom
1.0
7.4699 0.0000 0.0000
0.0000 6.5382 0.0000
0.0000 0.0000 6.2088
Zn Cu Ge S
2 4 2 8
Cartesian
0.0000 1.0010 0.0000 Zn
3.7349 5.5372 3.1044 Zn
1.8501 2.1415 3.1584 Cu
1.8848 4.3968 0.0540 Cu
5.5850 4.3968 0.0540 Cu
5.6198 2.1415 3.1584 Cu
0.0000 5.4229 3.1081 Ge
3.7349 1.1153 0.0037 Ge
0.0000 1.0163 2.3600 S
0.0000 5.3589 5.3787 S
1.8331 4.3179 2.3471 S
1.9019 2.2203 5.4515 S
3.7349 1.1793 2.2743 S
3.7349 5.5219 5.4644 S
5.5680 2.2203 5.4515 S
5.6368 4.3179 2.3471 S

---

# 5
ZnCu2GeS4 (PBE, optimized geometry); formation enthalpy at 0 K = -0.699 eV/atom; largest piezoelectric modulus = 0.05 C/m2; energy above the most stable polymorph in this dataset = 0 meV/atom
1.0
-2.6669 2.6669 5.3542
2.6669 -2.6669 5.3542
2.6669 2.6669 -5.3542
Zn Cu Ge S
1 2 1 4
Cartesian
0.0000 0.0000 0.0000 Zn
2.6669 0.0000 2.6771 Cu
0.0000 2.6669 2.6771 Cu
0.0000 0.0000 5.3542 Ge
1.3735 1.3735 -1.3675 S
1.2933 -1.2933 6.7217 S
1.2933 1.2933 3.9868 S
-1.2933 1.2933 6.7217 S

---

# 6
Sc3Cu4Ge4 (PBE, optimized geometry); formation enthalpy at 0 K = -0.567 eV/atom
1.0
-2.0206 3.2683 6.6939
2.0206 -3.2683 6.6939
2.0206 3.2683 -6.6939
Sc Cu Ge
3 4 4
Cartesian
0.0000 0.0000 0.0000 Sc
2.0206 0.0000 4.9920 Sc
0.0000 3.2683 1.7019 Sc
2.0206 1.2669 -2.3014 Cu
2.0206 1.2669 2.3014 Cu
0.0000 2.0014 4.3925 Cu
0.0000 2.0014 8.9953 Cu
0.0000 0.0000 2.8909 Ge
2.0206 2.0043 0.0000 Ge
0.0000 1.2640 6.6939 Ge
0.0000 0.0000 10.4970 Ge

---

# 7
ScCuGe (PBE, optimized geometry); formation enthalpy at 0 K = 0.118 eV/atom
1.0
6.8786 0.0000 0.0000
-3.4393 5.9570 0.0000
0.0000 0.0000 4.1981
Sc Cu Ge
3 3 3
Cartesian
0.0000 0.0000 0.0000 Sc
0.0000 3.9714 2.0991 Sc
3.4393 1.9857 2.0991 Sc
-2.0388 3.5314 0.0000 Cu